ST. LOUIS—Missouri Attorney General Andrew Bailey formally notified the Hazelwood School District (HSD) Friday of an investigation into the district’s diversity, equity and inclusion (DEI) policies after an off-campus fight left a student in critical condition.

The March 8 fight was caught on tape and has gone viral, prompting news coverage from around the world.

On Monday, a family attorney identified 16 year-old Kaylee Gain as the victim in the incident, which took place near the intersection of Norgate Drive and Claudine Drive in unincorporated North St. Louis County not far from Hazelwood East High School. Gain’s attorney said she suffered from a fractured skull and brain bleeding.

A 15-year-old girl was arrested March 9 and faces assault charges in St. Louis County Family Court.

Bailey first announced his plans for an investigation in an interview Thursday with FOX News.

In a letter Friday to Hazelwood Superintendent Dr. Nettie Collins-Hart, Bailey pointed to the removal of uniformed school resource officers since the 2021 school year as a concern. “The absence of SROs on the scene is directly attributable to Hazelwood’s insistence on prioritizing race-based policies over basic student safety. By its actions, HSD has endangered not only Ms. Gain but the general school community writ large,” Bailey wrote.

In the wake of the George Floyd murder in Minnesota and other incidents involving police and African-American victims across the country, Hazelwood’s Board of Education adopted a “statement of solidarity” that included a pledge for diverse hiring practices and to reduce what it called “disparities around student discipline” while re-evaluating the district’s relationship with school resource officers.

The district sent Spectrum News a statement Friday saying "contrary to recent statements, HSD does not prioritize DEI initiatives at the expense of student safety. Rather, we believe that fostering an inclusive environment is essential to ensuring the well-being of every member of our school community." 

• Molecular data that have nothing to do with the page:
The following is a quantum chemistry calculation of 9 unconnected molecules or ions with the total composition C40H95N2O11 in a non-equilibrium geometry, from OMol25.

Properties
F_max = 0.162 hartree/bohr
charge = -1
gap between HOMO and LUMO = 3.7 eV
molar mass = 780.20 g mol⁻¹
E_LUMO = 1.80 eV

Last column: Mulliken charge in e.
Atoms and positions in Å:
1 C 0.206 0.271 -3.737  -0.520
2 C -1.132 -0.610 -4.075  -0.776
3 N -2.355 0.187 -4.460  0.080
4 C -2.706 1.265 -3.461  0.012
5 C -2.890 0.759 -1.914  -0.201
6 N -2.955 1.893 -0.891  -0.823
7 C -1.617 2.580 -0.736  -0.454
8 C -0.453 1.688 -0.005  0.158
9 C -0.846 1.106 1.476  -0.539
10 C 0.571 0.723 2.272  0.536
11 C 0.731 -0.886 2.577  -0.564
12 C 2.265 -1.304 2.065  -0.376
13 C 3.447 -0.411 2.820  -0.097
14 C 4.293 0.552 1.746  -0.429
15 O 4.994 1.668 2.398  -0.193
16 C 4.161 2.872 2.517  0.467
17 C 4.811 4.174 3.340  -0.682
18 O 2.947 3.067 1.998  -0.480
19 C -2.281 0.739 -5.867  0.377
20 C -1.004 0.633 -6.893  -0.490
21 O -3.392 1.355 -6.358  -0.578
22 H 1.035 -0.002 -4.550  0.241
23 H 0.065 1.432 -3.767  0.265
24 H 0.644 -0.099 -2.693  0.005
25 H -1.336 -1.289 -3.115  0.400
26 H -0.903 -1.379 -4.947  0.481
27 H -3.769 1.691 -3.797  -0.350
28 H -1.967 2.195 -3.583  0.118
29 H -2.079 0.010 -1.529  0.115
30 H -3.955 0.223 -1.851  0.195
31 H -1.795 3.530 -0.036  0.306
32 H -1.156 3.003 -1.729  0.168
33 H 0.478 2.417 0.151  0.164
34 H -0.026 0.802 -0.681  -0.410
35 H -1.382 1.913 2.146  0.226
36 H -1.499 0.138 1.404  0.159
37 H 0.729 1.384 3.246  0.250
38 H 1.431 1.001 1.508  -0.441
39 H 0.631 -1.063 3.729  0.039
40 H -0.110 -1.466 1.975  0.373
41 H 2.378 -2.452 2.319  0.087
42 H 2.359 -1.228 0.885  0.273
43 H 3.060 0.180 3.755  0.320
44 H 4.238 -1.210 3.203  -0.012
45 H 3.648 0.854 0.808  0.292
46 H 5.146 -0.167 1.322  0.152
47 H 4.775 5.079 2.565  0.275
48 H 5.897 3.939 3.713  0.117
49 H 4.067 4.451 4.225  0.262
50 H -0.402 -0.370 -6.819  0.309
51 H -0.208 1.505 -6.734  0.233
52 H -1.390 0.742 -7.994  -0.115
53 C -1.638 -2.624 7.188  -1.232
54 C -1.254 -3.094 5.794  0.505
55 C -1.687 -4.532 5.555  -1.175
56 O 0.158 -2.994 5.634  -0.482
57 H -1.150 -3.235 7.956  0.225
58 H -1.309 -1.592 7.350  0.346
59 H -2.721 -2.674 7.337  0.359
60 H -1.716 -2.441 5.045  0.288
61 H -1.202 -5.211 6.264  0.173
62 H -1.394 -4.860 4.552  0.349
63 H -2.772 -4.639 5.655  0.336
64 H 0.577 -3.570 6.294  0.306
65 C 9.504 0.619 4.353  -1.098
66 C 9.320 2.102 4.631  0.362
67 C 8.685 2.336 5.993  -1.221
68 O 8.495 2.674 3.620  -0.516
69 H 8.539 0.099 4.347  0.191
70 H 9.951 0.465 3.365  0.310
71 H 10.148 0.153 5.105  0.386
72 H 10.291 2.608 4.587  0.302
73 H 7.691 1.877 6.045  0.285
74 H 8.547 3.407 6.174  0.310
75 H 9.304 1.921 6.794  0.400
76 H 7.631 2.231 3.652  0.285
77 C 7.130 -4.913 3.365  -1.081
78 C 6.266 -3.753 3.834  0.448
79 C 4.998 -4.246 4.513  -1.199
80 O 5.917 -2.942 2.715  -0.342
81 H 6.597 -5.529 2.633  0.023
82 H 8.033 -4.543 2.867  0.298
83 H 7.429 -5.547 4.205  0.422
84 H 6.835 -3.126 4.528  0.327

The statement also said the district "takes great pride in its commitment to promoting diversity, equity, and inclusion (DEI) within the Hazelwood School District community. DEI is a core value that guides our efforts to create a safe and supportive learning environment for all students. By embracing diversity and promoting equity and inclusion, we are better able to prepare our students for success in an increasingly diverse and interconnected world.

"Our priority remains the safety and well-being of our students. We reaffirm our unwavering commitment to promoting diversity, equity, and inclusion within the Hazelwood School District. These values are not negotiable, and we will continue to prioritize them in all aspects of our work as community leaders."

Bailey’s investigation will look at whether the district’s policies violate the Missouri Human Rights Act. The Attorney General has asked the district to produce 12 categories of documents related to its relationships with law enforcement, along with bullying, discrimination and harassment policies. It also asks for employment records broken down by race.